“Tapping on the energy system while being tuned to an emotional (or physical) problem is an extraordinary healing technique that is deserving of the Nobel Prize. Its impact on the healing sciences is bout to be enormous.”

Dr F Gallo


What is EFT?

EFT is a therapeutic mind-body approach which clinically discharges excess emotional distress and assists in liberating one’s natural growth process.  In doing so it is also capable of dramatically relieving many physical symptoms.  EFT belongs to the growing field of Energy Psychology and has its roots in ancient Chinese medicine – Acupuncture and the modern science of Applied Kinesiology.

The basic theory is that the cause of all negative emotions is a disruption in the body’s energy system.  By correcting the disturbance on an energy level we simultaneously correct it on a psychological and physiological level.  These techniques are gentle, rapid and startlingly effective.  New or old emotional upsets can often be released in less than half an hour!  Similarly, life long phobias, compulsive behaviours and unhealthy patterns of belief can be eliminated.

Run i
A single C20H25N3O4S molecule, computed with ωB97M-V/def2-TZVPD.

Last column: Löwdin charge in e.
Element x y z (Å)
O1 0.918 -2.217 2.798  0.062
C1 1.284 -2.104 1.646  -0.467
N1 1.394 -3.110 0.768  0.110
H1 1.625 -2.884 -0.194  0.119
C2 0.996 -4.473 1.055  -0.315
C3 -0.281 -4.828 0.289  -0.148
C4 -0.692 -6.269 0.576  -0.201
C5 0.433 -7.231 0.208  -0.212
C6 1.704 -6.878 0.974  -0.202
C7 2.121 -5.439 0.685  -0.150
H2 2.346 -5.329 -0.379  0.120
H3 3.020 -5.185 1.250  0.117
H4 1.525 -6.993 2.045  0.115
H5 2.511 -7.558 0.694  0.108
H6 0.627 -7.168 -0.865  0.113
H7 0.135 -8.256 0.436  0.107
H8 -0.924 -6.372 1.639  0.116
H9 -1.594 -6.514 0.012  0.108
H10 -1.081 -4.143 0.578  0.118
H11 -0.098 -4.703 -0.782  0.121
H12 0.804 -4.517 2.132  0.152
C8 1.641 -0.742 1.028  -0.059
N2 0.532 -0.275 0.210  -0.063
C9 0.491 -0.652 -1.081  -0.426
O2 1.325 -1.411 -1.556  0.041
C10 -0.623 -0.090 -1.962  -0.061
N3 -0.661 1.350 -1.985  0.084
C11 -1.731 2.053 -1.530  -0.447
O3 -2.723 1.508 -1.082  0.077
C12 -1.575 3.514 -1.612  -0.204
C13 -0.571 4.319 -2.100  -0.022
C14 -0.983 5.646 -1.866  -0.050
C15 -2.199 5.553 -1.254  -0.105
O4 -2.558 4.281 -1.101  0.075
H13 -2.877 6.304 -0.898  0.127
H14 -0.451 6.540 -2.117  0.104
H15 0.343 4.017 -2.570  0.111
H16 0.157 1.831 -2.318  0.129
H17 -1.602 -0.435 -1.616  0.135
H18 -0.448 -0.481 -2.970  0.135
C16 -0.500 0.448 0.918  -0.136
C17 -0.205 1.914 1.031  -0.488
C18 -0.992 2.884 1.565  -0.121
C19 -0.406 4.169 1.503  -0.183
C20 0.817 4.158 0.919  -0.407
S1 1.285 2.574 0.436  1.046
H19 1.484 4.977 0.740  0.065
H20 -0.881 5.059 1.874  0.107
H21 -1.965 2.689 1.979  0.125
H22 -1.472 0.319 0.431  0.121
H23 -0.581 0.012 1.922  0.143
H24 2.526 -0.834 0.396  0.133
H25 1.825 -0.019 1.824  0.124

SMILES = O=C(CN(Cc1cccs1)C(=O)CNC(=O)c1ccco1)NC1CCCCC1
E_HOMO = -0.32644 Eh


Run ii
A single C20H25N3O4S molecule, computed with ωB97M-V/def2-TZVPD.

Last column: Löwdin charge in e.
Element x y z (Å)
C1 0.318 -7.857 -2.582  -0.062
C2 0.197 -6.678 -3.542  -0.241
O1 1.069 -5.613 -3.207  -0.042
C3 0.779 -4.791 -2.172  -0.259
C4 -0.397 -4.813 -1.423  -0.005
C5 -0.577 -3.899 -0.398  -0.050
C6 0.404 -2.972 -0.116  -0.293
C7 1.577 -2.937 -0.850  -0.045
C8 1.764 -3.840 -1.873  0.018
H1 2.665 -3.841 -2.465  0.122
H2 2.326 -2.204 -0.601  0.120
S1 0.181 -1.793 1.203  0.685
O2 -1.091 -2.042 1.833  -0.291
O3 1.343 -1.786 2.045  -0.281
N1 0.207 -0.361 0.327  -0.228
C9 0.636 0.801 1.072  -0.187
C10 -0.465 1.304 2.005  -0.117
H3 -0.691 0.510 2.720  0.119
H4 -0.113 2.180 2.555  0.115
C11 -1.737 1.630 1.206  -0.223
C12 -1.496 2.866 0.342  -0.471
O4 -1.270 2.846 -0.850  0.069
N2 -1.559 4.021 1.045  0.073
H5 -1.705 3.991 2.042  0.147
C13 -1.226 5.306 0.468  -0.127
C14 0.075 5.829 1.015  -0.190
C15 0.168 7.069 1.637  -0.112
N3 1.286 7.551 2.147  0.058
C16 2.380 6.814 2.067  -0.154
C17 2.409 5.562 1.469  -0.053
C18 1.234 5.064 0.935  -0.018
H6 1.208 4.096 0.455  0.109
H7 3.325 4.994 1.422  0.102
H8 3.270 7.250 2.502  0.103
H9 -0.701 7.710 1.728  0.111

EFT is a Meridian Energy Therapy – just like acupuncture, it works directly on the meridian system in the body.  But instead of needles, you stimulate the major meridian points by tapping on them or massaging them lightly.  This tapping or massaging serves to balance these energy meridians which become disrupted when the client things about or becomes involved in an emotionally disturbing circumstance.  The actual memory stays the same, but the charge is gone.  Typically, this result is lasting.  Cognition often changes in a healthy direction as a natural consequence of the healing.  According to Gary Craig, founder of EFT, EFT has success rate of about 85-97% depending on the problem.

EFT is a self help protocol, designed for ease of use and so everyone can benefit from Emotional Freedom Techniques without prior knowledge about meridians.

My experience

I personally use it almost every day, and make it part of my morning routine in order to be my optimal best, and get the most out of my day.  I had my most profound experience of it when I was first learning – I am qualified in both traditional and Positive EFT.  During class I was experiencing the a horrific migraine – I shouldn’t have even been in class as I was throwing up regularly, had to lie down a lot, in tears and a lot of pain and if I wasn’t there I would have had to redo the whole course and pay again.  Anyway the teacher decided to use me as the example to demonstrate how quickly EFT can work.  By tapping through the sequence of points, and working through my limiting beliefs and sabotages connected with pain I was experiencing my migraine was completely gone after 20 rounds.  I was blown away and relieved.  In the past a migraine like that would have lasted 3 days and since then I’ve never experience a migraine like that ever again.